Job:
What is needed: write out the listing further down from the line with "0.895" to the end unchanged.

Data:
~~~
(1)
DFT (GGA-PBE) results for a geometry-optimized NiN structure.

Total energy = -6.445 eV/atom
Space-group type = Fm-3m (225)
Crystal system = cubic
Total magnetization = 0.002 μB per atom

Cell and atoms, written as POSCAR:
```
NiN
1.0
0.000 2.031 2.031
2.031 0.000 2.031
2.031 2.031 0.000
N Ni
1 1
Direct
0.500 0.500 0.500 N
0.000 0.000 0.000 Ni
```

***

(2)
DFT (GGA-PBE) results for a geometry-optimized InFeNi structure.

Total energy = -5.376 eV/atom
Space-group type = P6_3/mmc (194)
Crystal system = hexagonal
Total magnetization = 0.838 μB per atom

Cell and atoms, written as POSCAR:
```
InFeNi
1.0
-2.204 -3.817 0.000
-2.204 3.817 0.000
0.000 0.000 -5.236
Fe In Ni
2 2 2
Direct
0.333 0.667 0.750 Fe
0.667 0.333 0.250 Fe
0.667 0.333 0.750 In
0.333 0.667 0.250 In
0.000 0.000 0.000 Ni
0.000 0.000 0.500 Ni
```

***

(3)
DFT (GGA-PBE) results for a geometry-optimized KH3 structure.

Total energy = -1.856 eV/atom
Space-group type = I4/mmm (139)
Crystal system = tetragonal
Total magnetization = 0.269 μB per atom

Cell and atoms, written as POSCAR:
```
KH3
1.0
2.693 0.335 3.347
-2.618 2.574 2.255
-1.283 -3.805 -1.564
H K
3 1
Direct
0.500 0.500 0.000 H
0.250 0.750 0.500 H
0.750 0.250 0.500 H
0.000 0.000 0.000 K
```

***

(4)
DFT (GGA-PBE) results for a geometry-optimized RbLiMgB4H16 structure.

Total energy = -4.007 eV/atom
Space-group type = Aea2 (41)
Crystal system = orthorhombic
Total magnetization = 0.000 μB per atom

Cell and atoms, written as POSCAR:
```
RbLiMgB4H16
1.0
3.559 6.906 -1.107
-4.061 -1.316 -6.585
-6.521 3.881 3.246
B H Rb Mg Li
8 32 2 2 2
Direct
0.534 0.142 0.395 B
0.479 0.588 0.266 B
0.412 0.521 0.734 B
0.358 0.966 0.895 B
0.979 0.088 0.234 B
0.034 0.642 0.105 B
0.858 0.466 0.605 B
0.912 0.021 0.766 B
0.294 0.593 0.749 H
0.096 0.540 0.026 H
0.850 0.885 0.845 H
0.456 0.073 0.275 H
0.023 0.040 0.365 H
0.653 0.272 0.353 H
0.956 0.573 0.225 H
0.794 0.093 0.751 H
0.523 0.540 0.135 H
0.115 0.150 0.155 H
0.907 0.206 0.249 H
0.460 0.477 0.865 H
0.615 0.650 0.345 H
0.596 0.040 0.474 H
0.460 0.904 0.974 H
0.407 0.706 0.251 H
0.927 0.544 0.725 H
0.728 0.347 0.647 H
0.426 0.186 0.484 H
0.314 0.074 0.984 H
0.375 0.460 0.331 H
0.228 0.847 0.853 H
0.875 0.960 0.169 H
0.960 0.977 0.635 H
0.540 0.625 0.669 H
0.350 0.385 0.655 H
0.040 0.125 0.831 H
0.814 0.574 0.516 H
0.926 0.686 0.016 H
0.427 0.044 0.775 H
0.153 0.772 0.147 H
0.960 0.404 0.526 H
0.204 0.796 0.500 Rb
0.704 0.296 0.000 Rb
0.059 0.941 0.000 Mg
0.559 0.441 0.500 Mg
0.347 0.653 0.000 Li
0.847 0.153 0.500 Li
```

***

Sequential formation energy from the elements output: 433, 291, 832, -414 meV/atom


Material: Na9Nb2Zn4P9O36
Method: DFT, PBE-GGA
State: optimized geometry

Total magnetization = 0.00 μB/f.u.
Offset from the most stable computed form = 0.000 eV/atom
Volume = 12.98 A^3/atom
DFT formation energy = -2.584 eV/atom

Cell and atoms, written as CIF:
```
data_Na9Nb2Zn4P9O36
_chemical_formula_sum 'Na54 Nb12 Zn24 P54 O216'
_space_group_name_H-M_alt 'P 1'
_space_group_IT_number 1
_space_group_name_Hall 'P 1'
_cell_length_a 9.042
_cell_length_b 22.120
_cell_length_c 23.792
_cell_angle_alpha 90.10
_cell_angle_beta 100.91
_cell_angle_gamma 90.02
loop_
_atom_site_label
_atom_site_type_symbol
_atom_site_fract_x
_atom_site_fract_y
_atom_site_fract_z
Na1 Na 0.000 0.000 0.000
Na2 Na 0.001 0.484 0.006
Na3 Na 0.019 0.571 0.682
Na4 Na 0.035 0.745 0.335
Na5 Na 0.053 0.575 0.890
Na6 Na 0.079 0.416 0.561
Na7 Na 0.083 0.317 0.220
Na8 Na 0.091 0.749 0.543
Na9 Na 0.106 0.818 0.221
Na10 Na 0.108 0.244 0.879
Na11 Na 0.143 0.073 0.557
Na12 Na 0.197 0.742 0.795
Na13 Na 0.204 0.083 0.770
Na14 Na 0.212 0.659 0.446
Na15 Na 0.219 0.234 0.122
Na16 Na 0.226 0.575 0.097
Na17 Na 0.233 0.160 0.451
Na18 Na 0.277 0.246 0.334
Na19 Na 0.314 0.074 0.012
Na20 Na 0.317 0.498 0.672
Na21 Na 0.332 0.569 0.350
Na22 Na 0.340 0.001 0.672
Na23 Na 0.343 0.901 0.333
Na24 Na 0.370 0.742 0.002
Na25 Na 0.388 0.573 0.557
Na26 Na 0.404 0.747 0.210
Na27 Na 0.422 0.833 0.886
Na28 Na 0.423 0.317 0.891
~~~

Done:
0.358 0.966 0.895 B
0.979 0.088 0.234 B
0.034 0.642 0.105 B
0.858 0.466 0.605 B
0.912 0.021 0.766 B
0.294 0.593 0.749 H
0.096 0.540 0.026 H
0.850 0.885 0.845 H
0.456 0.073 0.275 H
0.023 0.040 0.365 H
0.653 0.272 0.353 H
0.956 0.573 0.225 H
0.794 0.093 0.751 H
0.523 0.540 0.135 H
0.115 0.150 0.155 H
0.907 0.206 0.249 H
0.460 0.477 0.865 H
0.615 0.650 0.345 H
0.596 0.040 0.474 H
0.460 0.904 0.974 H
0.407 0.706 0.251 H
0.927 0.544 0.725 H
0.728 0.347 0.647 H
0.426 0.186 0.484 H
0.314 0.074 0.984 H
0.375 0.460 0.331 H
0.228 0.847 0.853 H
0.875 0.960 0.169 H
0.960 0.977 0.635 H
0.540 0.625 0.669 H
0.350 0.385 0.655 H
0.040 0.125 0.831 H
0.814 0.574 0.516 H
0.926 0.686 0.016 H
0.427 0.044 0.775 H
0.153 0.772 0.147 H
0.960 0.404 0.526 H
0.204 0.796 0.500 Rb
0.704 0.296 0.000 Rb
0.059 0.941 0.000 Mg
0.559 0.441 0.500 Mg
0.347 0.653 0.000 Li
0.847 0.153 0.500 Li
```

***

Sequential formation energy from the elements output: 433, 291, 832, -414 meV/atom


Material: Na9Nb2Zn4P9O36
Method: DFT, PBE-GGA
State: optimized geometry

Total magnetization = 0.00 μB/f.u.
Offset from the most stable computed form = 0.000 eV/atom
Volume = 12.98 A^3/atom
DFT formation energy = -2.584 eV/atom

Cell and atoms, written as CIF:
```
data_Na9Nb2Zn4P9O36
_chemical_formula_sum 'Na54 Nb12 Zn24 P54 O216'
_space_group_name_H-M_alt 'P 1'
_space_group_IT_number 1
_space_group_name_Hall 'P 1'
_cell_length_a 9.042
_cell_length_b 22.120
_cell_length_c 23.792
_cell_angle_alpha 90.10
_cell_angle_beta 100.91
_cell_angle_gamma 90.02
loop_
_atom_site_label
_atom_site_type_symbol
_atom_site_fract_x
_atom_site_fract_y
_atom_site_fract_z
Na1 Na 0.000 0.000 0.000
Na2 Na 0.001 0.484 0.006
Na3 Na 0.019 0.571 0.682
Na4 Na 0.035 0.745 0.335
Na5 Na 0.053 0.575 0.890
Na6 Na 0.079 0.416 0.561
Na7 Na 0.083 0.317 0.220
Na8 Na 0.091 0.749 0.543
Na9 Na 0.106 0.818 0.221
Na10 Na 0.108 0.244 0.879
Na11 Na 0.143 0.073 0.557
Na12 Na 0.197 0.742 0.795
Na13 Na 0.204 0.083 0.770
Na14 Na 0.212 0.659 0.446
Na15 Na 0.219 0.234 0.122
Na16 Na 0.226 0.575 0.097
Na17 Na 0.233 0.160 0.451
Na18 Na 0.277 0.246 0.334
Na19 Na 0.314 0.074 0.012
Na20 Na 0.317 0.498 0.672
Na21 Na 0.332 0.569 0.350
Na22 Na 0.340 0.001 0.672
Na23 Na 0.343 0.901 0.333
Na24 Na 0.370 0.742 0.002
Na25 Na 0.388 0.573 0.557
Na26 Na 0.404 0.747 0.210
Na27 Na 0.422 0.833 0.886
Na28 Na 0.423 0.317 0.891